BEACON OF HOPE: Many in the country hope that Grybauskaite, who has a strong background in finance, will be able to help pull the country out of its deepening recession. Her landslide victory marks the first time that a woman has been elected president of the country.
VILNIUS - Dalia Grybauskaite was sworn in as the first female president of Lithuania on July 12, promising to use her financial know-how to help the country find its way out of one of Europe's worst economic mires.
"In this crisis period people are impressed by her status as EU budget chief, and there are high hopes that Grybauskaite may help to deal with these [economic] challenges," political analyst Antanas Kulakauskas told Reuters.
"It is likely to happen as she has a good dialogue with the government," he added.
Quantum chemistry results, kept here for reference:
'''
A.
Molecular formula: C2H10O4
Method: DFT, ωB97M-V/def2-TZVPD

Bonds (Å) are listed after each position.
Cartesian coordinates (Å):
1 C -0.98410 -2.50582 -0.73811  C2 1.361, H4 1.044, H5 1.021
2 C -0.51891 -1.41248 -1.40186  C1 1.361, O3 1.336, H6 1.098
3 O -0.67253 -0.17246 -0.92857  C2 1.336, H7 0.985
4 H -1.11336 -3.42470 -1.21598  C1 1.044
5 H -1.34978 -2.51929 0.21552  C1 1.021
6 H 0.13979 -1.39297 -2.28042  C2 1.098
7 H 0.06898 0.06094 -0.32365  O3 0.985
8 O -0.37620 4.01056 -0.06480  H9 0.966, H10 1.015
9 H -1.17763 3.99844 -0.60321  O8 0.966
10 H -0.18789 4.91886 0.34608  O8 1.015
11 O 0.99108 -1.73696 1.73103  H12 0.910, H13 0.901
12 H 0.45961 -2.46463 1.60147  O11 0.910
13 H 1.81765 -2.07503 1.61101  O11 0.901
14 O 1.23819 1.25337 0.58689  H15 0.977, H16 0.960
15 H 0.63125 1.39223 1.33931  O14 0.977
16 H 1.03384 2.06995 0.12529  O14 0.960

Properties
LUMO = 0.52 eV
gap between HOMO and LUMO = 9.4 eV

B.
Molecular formula: C2H10O4
Method: DFT, ωB97M-V/def2-TZVPD

Bonds (Å) are listed after each position.
Cartesian coordinates (Å):
1 C 1.76968 -0.52893 0.37364  C2 1.484, H4 1.090, H5 1.090, H6 1.087
2 C 1.24005 -1.84694 0.80247  C1 1.484, O3 1.204, H7 1.106
3 O 0.95967 -2.78736 0.10477  C2 1.204
4 H 1.95769 -0.47283 -0.69868  C1 1.090
5 H 1.10571 0.29103 0.64635  C1 1.090
6 H 2.73075 -0.36093 0.85289  C1 1.087
7 H 1.08183 -1.94603 1.89303  C2 1.106
8 O -1.67566 -1.94163 -0.64401  H9 0.974, H10 0.963
9 H -0.91433 -2.46777 -0.94685  O8 0.974
10 H -2.41602 -2.31164 -1.13650  O8 0.963
11 O -1.61071 1.39386 -0.28142  H12 0.963, H13 0.961
12 H -1.86651 0.49674 -0.04341  O11 0.963
13 H -1.99956 1.57147 -1.14266  O11 0.961
14 O 0.06503 3.75505 -0.27419  H15 0.964, H16 0.981
15 H -0.10393 4.26783 0.52492  O14 0.964
16 H -0.32368 2.88806 -0.03036  O14 0.981

Properties
LUMO = 0.62 eV
gap between HOMO and LUMO = 10.8 eV

Which structure is the least stable? The one labeled A.

A.
Molecular formula: C2H10O4
Method: DFT, ωB97M-V/def2-TZVPD

Bonds (Å) are listed after each position.
Cartesian coordinates (Å):
1 C -2.45844 -1.36539 -0.24109  C2 1.491, H4 1.088, H5 1.092, H6 1.086
2 C -1.75763 -1.05787 1.03900  C1 1.491, O3 1.200, H7 1.109
3 O -1.29370 0.01379 1.31415  C2 1.200
4 H -2.30833 -0.61708 -1.01713  C1 1.088
5 H -2.13333 -2.33189 -0.63257  C1 1.092
6 H -3.50690 -1.51344 -0.00109  C1 1.086
7 H -1.70210 -1.89809 1.76100  C2 1.109
8 O -0.46837 2.73270 0.95317  H9 0.967, H10 0.968
9 H -0.73447 1.81734 1.11297  O8 0.967
10 H -1.23990 3.15059 0.54514  O8 0.968
11 O 1.84786 0.24967 -0.08267  H12 0.963, H13 0.964
12 H 2.23083 1.11569 -0.26015  O11 0.963
13 H 0.89557 0.39664 -0.11153  O11 0.964
14 O 4.20768 -0.35768 -1.84185  H15 0.963, H16 0.968
15 H 4.87696 0.16434 -1.38597  O14 0.963
16 H 3.54425 -0.49932 -1.15139  O14 0.968

Properties
LUMO = 0.64 eV
gap between HOMO and LUMO = 11.4 eV

B.
Molecular formula: C2H10O4
Method: DFT, ωB97M-V/def2-TZVPD

Bonds (Å) are listed after each position.
Cartesian coordinates (Å):
'''
The former finance minister and EU budget commissioner in a speech to the Seimas (Lithuanian parliament) called on Lithuanians to take a long-term view as they worked to implement reforms in the country.
"We hear the word 'crisis' every day. But while fighting the fire today, we must think about tomorrow," she said.
"Let's consolidate power for change that will lay the foundation for decades to come."
Lithuania is now forced to come to terms with long term policy planning 's which was largely absent in previous governments 's instead looking for short term or personal gain, particularly in the energy sector.
Grybauskaite singled out judicial reform and the notion of justice as one of her main goals.
"As I traveled across Lithuania, I saw that people are strongly disappointed with courts. I heard them say 'We have courts, but not enough justice.' I saw a lot of indignation over double standards 's one type of justice for ordinary people and a different one for influential figures."
"When I appoint judges, I will focus special attention on their integrity, honesty and good repute. People will only respect the courts when the courts start respecting themselves," she said.
She also asked citizens of Lithuania to stand up and voice their opinion.
"Do criticize the government and me as part of political power when needed."
"But do not forget 's there is but a fine line between criticizing the government and undermining the state itself. Empty criticism will not solve a single problem," she said.
One of the largest problems hanging over the heads of the country is the closing of Ignalina Nuclear Power Plant, which is set to shut down at the end of 2009.
The replacement for the power source was supposed to be sorted out by Leo LT, but Grybauskaite swore in her campaign that as part of her presidency she would liquidate the company, which was found to be unconstitutional.
"Let us live without oligarchic monopolies and non-transparent transactions," she said about Leo LT and other large companies that many analysts claim rule the country from behind closed doors.
Grybauskaite succeeds Valdus Adamkus, who at 82-years-old was the oldest head of state in the European Union. At 53, Grybauskaite will be one of the youngest.
Lithuania's economy is expected to shrink by more than 10 percent this year after years of rapid growth following EU membership in 2004.